Ann Coulter: “You’re Barking Up the Wrong Tree, GOP” (Whites Are the New Swing Voters, Idiots)

Racially aware Whites are no fans of the current system of voting, since the majority of GOP Republicrats are as worthless to us as tits on a boar hog. But–we must never forget that America’s founders made it crystal clear that America was founded by Whites for Whites. The settlers and explorers didn’t quit when it dawned on them that they would have a hard fight ahead to civilize North America. But that has all changed now, and Coulter is merely scratching the surface. The time is all but here, at your very doorstep, when certain conclusions are going to be reached. Those remaining on the sidelines will be eventually forced to take sides in escalating conflicts–outside of voting–that will determine the fate of millions of our people.

by Ann Coulter

For decades, liberals have bullied Republicans into taking suicidal positions by warning that the country will wreak a terrible vengeance on them if they do not urgently accede to some liberal agenda item. The demanded policy is invariably one that the white working class either is indifferent to or actively detests.

Over the years, the GOP has been obsessed with winning more votes from some generally Democratic constituencies: perpetually alarmed women (gun control), the media (campaign finance reform) and feminists (Equal Rights Amendment).

It never works. Democrats must be astonished at their good luck that Republicans fall for it every time.

Today, Republicans have again decided their path to victory is to concentrate on winning slightly more of another Democratic constituency: Hispanics. Curiously, Democrats never follow their own advice. They don’t neurotically fixate on increasing their support from evangelicals, coal miners, pro-lifers or small-business owners.

Everyone sees it now with previous “moderate,” “sensible” positions taken by the GOP. But no one saw it at the time. Elected Republicans were always the last to know. It’s important to review how stupid Republicans were in the past because they’re being stupid in the exact same way again today.

Guns are the most striking example. Few elected officials of either party are willing to get within 10 miles of any gun control measure these days. But, as with immigration, the media bluffed politicians into supporting gun control with phony polls that showed “huge majorities of gun owners and the public” supported endless restrictions on guns, as The New York Times put it, or that waiting periods for gun purchases were “supported by 95 percent of Americans,” as then-Rep. Charles Schumer (D-N.Y.) claimed.

The first President Bush voted for a gun control bill as a congressman, then tried to distance himself from that vote during his presidential primary run against Ronald Reagan. He lost. But then Bush went right back to his anti-gun policies after being elected as a result of having been Reagan’s vice president. Although that wasn’t the only way Democrats fooled Bush, the National Rifle Association (NRA) declined to endorse him for reelection. Again, he lost.

The erstwhile pro-gun Dennis DeConcini, now a former senator, introduced a bill in early 1993 that would ban so-called “assault weapons,” telling ABC’s “Nightline,” “The public, they support this legislation.” Within six months, the Arizona Democrat’s approval rating in the state had fallen by 17 points and his probable Republican opponent, then-Rep. Jon Kyl, was running ahead of him by 20 points. Deconcini declined to seek reelection.

On Oct. 1, 1993, The New York Times reported that then-Gov. Jim Florio, Democrat of New Jersey, had “revived [his] popularity” with “strong gun control legislation.” One month later, not only did Florio lose his reelection, his party was wiped out in both houses of the state Legislature — an event former President Clinton attributed to the Democrats’ passage of an “assault weapons” ban.

The Democratic Congress pushed through a nationwide ban of “assault weapons” the following year. The ban was so popular, it led to a Republican sweep of Congress later that year, giving the GOP a majority in both houses for the first time in nearly half a century. The only congressional Democrats who retained their seats that year were the ones endorsed by the NRA.

Republicans are getting the exact same bluff on immigration today. And it’s working. It always does.

The Democrats say it’s urgent that Congress pass an amnesty for illegal aliens: It’s a crisis to have people living in the shadows! If illegal immigration is a crisis, it’s a crisis only for the Democrats, who demand that they be given 30 million new voters. If it were a crisis for the illegal immigrants themselves, there’d be an easy solution.

There’s the Orwellian language. The Schumer-Rubio bill that would put millions of lawbreakers on a “path to citizenship” is called “comprehensive immigration reform.” The Democrat’s 1994 assault weapon ban was titled the Recreational Firearms Use Protection Act.

And there are the phony polls allegedly showing that vast majorities of Americans support amnesty. But this doesn’t quite jibe with the fact that Americans have risen up and shut down three actual amnesty bills in the last decade.

What comes next are data records, not part of the text:
┌──
Formula: C7H10ClN4OS
Source: the Open Molecules 2025 dataset
Level of theory: ωB97M-V with the def2-TZVPD basis set

Last column: Mulliken charge in e.
Atoms and positions in Å:
C1 0.49142 0.08116 1.70028  -0.35
C2 -0.63031 1.60846 0.45214  0.43
C3 -1.32790 -1.26513 -0.71182  -0.02
C4 0.13972 -1.10795 1.21509  -0.34
C5 0.59789 0.13430 -1.20324  0.78
C6 -2.27253 -1.32589 1.54717  -1.05
C7 2.70353 1.19644 -1.60583  -0.71
N1 -0.33541 1.16285 1.57666  -0.35
N2 -0.02911 -1.04302 -1.38080  -0.09
N3 -1.15403 -1.18458 0.65202  0.17
N4 0.03872 1.29774 -0.79087  -0.26
O1 1.80365 0.10735 -1.59849  -0.35
S1 -2.66862 -1.32381 -1.50344  -0.24
Cl1 -1.73143 2.79238 0.05937  -0.11
H1 1.43081 0.10592 2.31966  0.40
H2 0.72803 -2.02919 1.45969  0.43
H3 -1.98819 -0.88232 2.58727  0.30
H4 -3.05192 -0.54276 1.32043  0.36
H5 -2.39910 -2.34255 1.71165  0.45
H6 3.69848 0.81506 -1.58478  0.27
H7 2.45189 1.89939 -0.70882  0.33
H8 2.74552 1.67891 -2.55400  0.33
H9 0.38955 -1.87173 -1.67291  0.27
H10 0.36933 2.03897 -1.28641  0.37

Output
**Gap between HOMO and LUMO**: 0.3105 Ha
**Relative energy (zero: lowest compared OMol25 entry of this formula, charge and spin)**: 20.8 kJ/mol
**LUMO energy**: -3.93 eV
**HOMO**: -12.383 eV
**Charge**: +1
**E_tot**: -1425.033685 a.u.

Formula: C20H19N4O2Ru
Source: the Open Molecules 2025 dataset
Level of theory: ωB97M-V with the def2-TZVPD basis set

Last column: Mulliken spin population.
Atoms and positions in Å:
Ru1 -0.12165 0.27134 -0.20483  2.73
C1 1.13366 0.22619 3.94964  0.00
C2 1.03442 0.44050 2.48775  0.26
N1 -0.17054 0.14127 1.77185  0.21
N2 -1.09331 -0.59201 2.34311  0.33
C3 -1.99825 -0.98681 1.42435  0.04
O1 -1.75705 -0.73719 0.14826  0.17
C4 -3.16534 -1.70071 1.81791  0.07
C5 -4.09177 -2.12003 0.84090  0.06
C6 -5.21094 -2.82058 1.22203  -0.01
C7 -5.41945 -3.11214 2.57169  0.12
C8 -4.51343 -2.70149 3.54674  -0.04
C9 -3.38814 -1.99964 3.18072  0.09
C10 2.02847 0.93225 1.64939  0.23
C11 3.28593 1.39292 2.08892  0.16
C12 4.20091 1.86231 1.17817  0.01
C13 3.88011 1.88492 -0.18372  0.15
C14 2.64384 1.42852 -0.58065  0.07
N3 1.73732 0.95790 0.29145  0.11
H1 0.19059 -0.13077 4.35123  0.01
H2 1.39782 1.15737 4.45644  0.02
H3 1.90858 -0.50834 4.18208  0.02
H4 -3.91290 -1.88709 -0.19899  0.00
H5 -5.92703 -3.14904 0.48196  0.00
H6 -6.29937 -3.67035 2.86430  0.00
H7 -4.69319 -2.93707 4.58621  0.00
H8 -2.67252 -1.67843 3.92335  0.00
H9 3.51374 1.37357 3.14524  0.02
H10 5.16726 2.21442 1.51303  0.00
H11 4.57977 2.24372 -0.92383  0.00
H12 2.35538 1.42347 -1.62391  0.01
O2 -0.25252 0.37770 -2.34251  0.03
C15 -1.04236 1.40410 -2.99936  0.00
C16 -1.55955 2.37871 -1.97517  0.02
C17 -2.35498 3.43755 -2.37889  0.00
C18 -2.80700 4.32926 -1.42285  0.00
C19 -2.45278 4.13933 -0.09247  0.00
C20 -1.66163 3.06000 0.22912  0.00
N4 -1.22021 2.19351 -0.69744  0.11
H13 -0.15866 -0.39579 -2.91165  0.00
H14 -1.86880 0.92816 -3.52669  0.00
H15 -0.40656 1.91489 -3.72244  0.00
H16 -2.61451 3.55982 -3.42263  0.00
H17 -3.42960 5.16570 -1.71124  0.00
└──

The second President Bush tried to foist amnesty on the country, and his party was wiped out in the next election. Sen. John McCain (R-Ariz.) pushed amnesty and lost his presidential bid. Jeb Bush is still hawking amnesty and he’s polling about the same as Donald Trump, despite having unparalleled name recognition and the media’s deep respect. Sen. Marco Rubio (R-Fla.) ran for office vowing to oppose amnesty and then has spent his Senate career pushing an amnesty bill. Now, the telegenic favorite of cable news can’t catch mild-mannered Gov. Scott Walker (R-Wis.) in the polls.

In the 2014 Republican sweep of Congress, Sen. Tom Cotton (R-Ark.) took out a sitting Democratic senator by aggressively opposing amnesty. Rep. Dave Brat (R-Va.) took out an incumbent Republican congressman — and party leader — by attacking his support for amnesty. Sen. Ben Sasse (R-Neb.) easily won an open Senate seat by opposing amnesty, getting nearly twice as many votes as the two amnesty-supporting Republicans combined. Scott Brown in New Hampshire nearly defeated the most formidable Democrat running that year by opposing amnesty.

So, naturally, the amnesty-supporting Chamber of Commerce is demanding credit for the GOP’s 2014 victory.

And guess what? Republican political consultants agree.

It’s important to remember that political consultants’ main interest is not in winning elections — look at how rich Mike Murphy’s gotten by losing them — but in raising boatloads of cash without breaking a sweat. They assure their idiot clients that conservative voters have “no place else to go.”

In fact, it’s the rich, the business interests and the Chamber of Commerce that have no place else to go. If they want lower taxes, less regulation and protection from trial lawyers, they’re not voting for the Democrats.

It’s ordinary white men and their wives who get discouraged and stay home. The only two Republican landslides for president in the last century were won by candidates who drove up the white working-class vote: Nixon and Reagan. Will elected Republicans ever notice that working-class whites are the only swing voters?

